**Given:**
~~~
## ZnAg2Au (GGA-PBE)

Data for ZnAg2Au after structural relaxation. Values from VASP.

The value obtained for the total magnetization is 0.00 Bohr magnetons per cell. The space-group type is Pmmm (47). The value obtained for the mass density is 11.59 g/cm³. Its total DFT energy (no corrections) is -0.19384 Ry/atom. Its density of states at the Fermi level is 1.93 states/eV per cell.

Cell and atoms, written as Quantum ESPRESSO input:
```
&SYSTEM
  ibrav = 0, nat = 4, ntyp = 3
/
ATOMIC_SPECIES
Ag 107.87 Ag.upf
Zn 65.41 Zn.upf
Au 196.97 Au.upf
CELL_PARAMETERS angstrom
3.934 0.000 0.000
0.000 4.130 0.000
0.000 0.000 4.215
ATOMIC_POSITIONS crystal
Ag 0.500 0.500 0.000
Zn 0.000 0.500 0.500
Au 0.500 0.000 0.500
Ag 0.000 0.000 0.000
```


## Hg3Pt4 (GGA-PBE)

Data for Hg3Pt4 after structural relaxation. Values from VASP.

Its distance to the lowest polymorph of the same formula is 431 meV/atom. The value obtained for the total magnetization is 0.01 Bohr magnetons per cell. The space-group type is P6/mmm (191). The value obtained for the mass density is 17.28 g/cm³. Its total DFT energy (no corrections) is -0.22460 Ry/atom. Its density of states at the Fermi level is 8.23 states/eV per cell.

Cell and atoms, written as Quantum ESPRESSO input:
```
&SYSTEM
  ibrav = 0, nat = 7, ntyp = 2
/
ATOMIC_SPECIES
Pt 195.08 Pt.upf
Hg 200.59 Hg.upf
CELL_PARAMETERS angstrom
1.327 2.478 -4.700
-4.834 -2.525 0.495
-2.095 4.343 1.699
ATOMIC_POSITIONS crystal
Pt 0.000 0.000 0.744
Hg 0.000 0.500 0.000
Pt 0.667 0.333 0.500
Pt 0.333 0.667 0.500
Hg 0.500 0.500 0.000
Hg 0.500 0.000 0.000
Pt 0.000 0.000 0.256
```


## KNaCd2Br6 (GGA-PBE)

Data for KNaCd2Br6 after structural relaxation. Values from VASP.

The value obtained for the total magnetization is 0.00 Bohr magnetons per cell. The space-group type is R3 (146). The value obtained for the mass density is 4.00 g/cm³. As for the formation energy without anion corrections: -1.136 eV/atom. Its total DFT energy (no corrections) is -0.18845 Ry/atom. Its density of states at the Fermi level is 0.00 states/eV per cell.

Cell and atoms, written as Quantum ESPRESSO input:
```
&SYSTEM
  ibrav = 0, nat = 10, ntyp = 4
/
ATOMIC_SPECIES
Br 79.90 Br.upf
Cd 112.41 Cd.upf
K 39.10 K.upf
Na 22.99 Na.upf
CELL_PARAMETERS angstrom
-5.181 5.180 1.911
-2.096 0.769 7.234
2.218 6.301 3.935
ATOMIC_POSITIONS crystal
Br 0.740 0.171 0.739
Br 0.171 0.349 0.740
Cd 0.012 0.012 0.965
Br 0.639 0.249 0.231
Br 0.249 0.880 0.231
K 0.792 0.792 0.624
Br 0.880 0.639 0.231
Br 0.349 0.740 0.740
Na 0.311 0.310 0.068
Cd 0.518 0.518 0.446
```


## CuTc2Ge2 (GGA-PBE)

Data for CuTc2Ge2 after structural relaxation. Values from VASP.

Its distance to the lowest polymorph of the same formula is 29 meV/atom. The value obtained for the total magnetization is 0.00 Bohr magnetons per cell. The space-group type is P4/mbm (127). The value obtained for the mass density is 9.12 g/cm³. Its total DFT energy (no corrections) is -0.49530 Ry/atom. Its density of states at the Fermi level is 6.16 states/eV per cell.

Cell and atoms, written as Quantum ESPRESSO input:
```
&SYSTEM
  ibrav = 0, nat = 10, ntyp = 3
/
ATOMIC_SPECIES
Tc 98.00 Tc.upf
Cu 63.55 Cu.upf
Ge 72.64 Ge.upf
CELL_PARAMETERS angstrom
6.808 0.000 0.000
0.000 6.808 0.000
0.000 0.000 3.180
ATOMIC_POSITIONS crystal
Tc 0.847 0.347 0.500
Tc 0.153 0.653 0.500
Cu 0.000 0.000 0.000
Ge 0.645 0.145 0.000
Tc 0.653 0.847 0.500
Ge 0.355 0.855 0.000
Tc 0.347 0.153 0.500
Ge 0.145 0.355 0.000
Ge 0.855 0.645 0.000
Cu 0.500 0.500 0.000
```


## CaTa2Os (GGA-PBE)

Data for CaTa2Os after structural relaxation. Values from VASP.

Its distance to the lowest polymorph of the same formula is 234 meV/atom. The value obtained for the total magnetization is 0.00 Bohr magnetons per cell. The space-group type is Fm-3m (225). The value obtained for the mass density is 13.65 g/cm³. Its total DFT energy (no corrections) is -0.64662 Ry/atom. Its density of states at the Fermi level is 4.82 states/eV per cell.
~~~

**Request:**
Please return the calculation results further above verbatim.

**Here it is:**
## ZnAg2Au (GGA-PBE)

Data for ZnAg2Au after structural relaxation. Values from VASP.

The value obtained for the total magnetization is 0.00 Bohr magnetons per cell. The space-group type is Pmmm (47). The value obtained for the mass density is 11.59 g/cm³. Its total DFT energy (no corrections) is -0.19384 Ry/atom. Its density of states at the Fermi level is 1.93 states/eV per cell.

Cell and atoms, written as Quantum ESPRESSO input:
```
&SYSTEM
  ibrav = 0, nat = 4, ntyp = 3
/
ATOMIC_SPECIES
Ag 107.87 Ag.upf
Zn 65.41 Zn.upf
Au 196.97 Au.upf
CELL_PARAMETERS angstrom
3.934 0.000 0.000
0.000 4.130 0.000
0.000 0.000 4.215
ATOMIC_POSITIONS crystal
Ag 0.500 0.500 0.000
Zn 0.000 0.500 0.500
Au 0.500 0.000 0.500
Ag 0.000 0.000 0.000
```


## Hg3Pt4 (GGA-PBE)

Data for Hg3Pt4 after structural relaxation. Values from VASP.

Its distance to the lowest polymorph of the same formula is 431 meV/atom. The value obtained for the total magnetization is 0.01 Bohr magnetons per cell. The space-group type is P6/mmm (191). The value obtained for the mass density is 17.28 g/cm³. Its total DFT energy (no corrections) is -0.22460 Ry/atom. Its density of states at the Fermi level is 8.23 states/eV per cell.

Cell and atoms, written as Quantum ESPRESSO input:
```
&SYSTEM
  ibrav = 0, nat = 7, ntyp = 2
/
ATOMIC_SPECIES
Pt 195.08 Pt.upf
Hg 200.59 Hg.upf
CELL_PARAMETERS angstrom
1.327 2.478 -4.700
-4.834 -2.525 0.495
-2.095 4.343 1.699
ATOMIC_POSITIONS crystal
Pt 0.000 0.000 0.744
Hg 0.000 0.500 0.000
Pt 0.667 0.333 0.500
Pt 0.333 0.667 0.500
Hg 0.500 0.500 0.000
Hg 0.500 0.000 0.000
Pt 0.000 0.000 0.256
```


## KNaCd2Br6 (GGA-PBE)

Data for KNaCd2Br6 after structural relaxation. Values from VASP.

The value obtained for the total magnetization is 0.00 Bohr magnetons per cell. The space-group type is R3 (146). The value obtained for the mass density is 4.00 g/cm³. As for the formation energy without anion corrections: -1.136 eV/atom. Its total DFT energy (no corrections) is -0.18845 Ry/atom. Its density of states at the Fermi level is 0.00 states/eV per cell.

Cell and atoms, written as Quantum ESPRESSO input:
```
&SYSTEM
  ibrav = 0, nat = 10, ntyp = 4
/
ATOMIC_SPECIES
Br 79.90 Br.upf
Cd 112.41 Cd.upf
K 39.10 K.upf
Na 22.99 Na.upf
CELL_PARAMETERS angstrom
-5.181 5.180 1.911
-2.096 0.769 7.234
2.218 6.301 3.935
ATOMIC_POSITIONS crystal
Br 0.740 0.171 0.739
Br 0.171 0.349 0.740
Cd 0.012 0.012 0.965
Br 0.639 0.249 0.231
Br 0.249 0.880 0.231
K 0.792 0.792 0.624
Br 0.880 0.639 0.231
Br 0.349 0.740 0.740
Na 0.311 0.310 0.068
Cd 0.518 0.518 0.446
```


## CuTc2Ge2 (GGA-PBE)

Data for CuTc2Ge2 after structural relaxation. Values from VASP.

Its distance to the lowest polymorph of the same formula is 29 meV/atom. The value obtained for the total magnetization is 0.00 Bohr magnetons per cell. The space-group type is P4/mbm (127). The value obtained for the mass density is 9.12 g/cm³. Its total DFT energy (no corrections) is -0.49530 Ry/atom. Its density of states at the Fermi level is 6.16 states/eV per cell.

Cell and atoms, written as Quantum ESPRESSO input:
```
&SYSTEM
  ibrav = 0, nat = 10, ntyp = 3
/
ATOMIC_SPECIES
Tc 98.00 Tc.upf
Cu 63.55 Cu.upf
Ge 72.64 Ge.upf
CELL_PARAMETERS angstrom
6.808 0.000 0.000
0.000 6.808 0.000
0.000 0.000 3.180
ATOMIC_POSITIONS crystal
Tc 0.847 0.347 0.500
Tc 0.153 0.653 0.500
Cu 0.000 0.000 0.000
Ge 0.645 0.145 0.000
Tc 0.653 0.847 0.500
Ge 0.355 0.855 0.000
Tc 0.347 0.153 0.500
Ge 0.145 0.355 0.000
Ge 0.855 0.645 0.000
Cu 0.500 0.500 0.000
```


## CaTa2Os (GGA-PBE)

Data for CaTa2Os after structural relaxation. Values from VASP.

Its distance to the lowest polymorph of the same formula is 234 meV/atom. The value obtained for the total magnetization is 0.00 Bohr magnetons per cell. The space-group type is Fm-3m (225). The value obtained for the mass density is 13.65 g/cm³. Its total DFT energy (no corrections) is -0.64662 Ry/atom. Its density of states at the Fermi level is 4.82 states/eV per cell.